
John Snow Labs Trainings & Certifications

  • Workshops

Someone pasted calculated molecules at this point:
____________
[1]
DFT (ωB97M-V/def2-TZVPD) results for a cluster of 2 separate species, C21H46BBrN2O6 in total.

Cartesian coordinates (Å):
Br (0.0991, 7.2362, 0.1866)
O (0.6926, 0.9544, -0.9915)
O (-2.4019, 0.3003, -2.8199)
O (1.5653, 4.1919, 0.1684)
O (-0.2774, 3.0766, -0.7546)
O (-2.1405, 2.4223, 1.3103)
O (1.0070, -2.7087, 1.8103)
N (-1.4955, 0.7082, 2.7013)
N (2.8586, -3.1693, -0.6216)
C (-1.5912, 0.4980, -1.6794)
C (1.5403, -3.9019, -0.8180)
C (3.9507, -4.1749, -0.3333)
C (-2.0958, -0.4945, 2.1430)
C (0.3947, -2.9928, -1.1825)
C (-3.1563, 5.1404, -0.9447)
C (-0.6796, 5.5058, -0.2997)
C (-2.3189, 1.2528, 3.7810)
C (1.9229, 2.8847, -0.1418)
C (-0.1706, 0.8196, -2.1053)
C (-3.6330, -0.3178, -2.5079)
C (-1.7742, 5.6688, -1.3734)
C (2.8122, -2.0208, 0.3768)
C (0.1817, 1.7426, 1.2387)
C (3.8707, -4.9797, 0.9527)
C (3.2389, -2.5346, -1.9298)
C (2.3462, -2.2909, 1.7967)
C (0.5701, 2.1671, -0.2002)
C (-1.2624, 1.6986, 1.6695)
C (-4.5329, 0.5444, -1.6246)
C (0.6466, -3.7229, 2.7328)
B (0.4318, 4.4375, -0.7764)
H (-1.9793, -1.3131, 2.8639)
H (-4.2586, 0.4550, -0.5703)
H (2.5953, 2.4845, 0.6310)
H (0.2329, -0.0422, -2.6573)
H (2.9922, -2.9842, 2.3328)
H (2.5135, -1.7702, -2.1862)
H (3.2678, -3.3051, -2.6962)
H (-2.0664, 2.2997, 3.9452)
H (0.2220, -2.2400, -0.4178)
H (3.8296, -1.6287, 0.4068)
H (0.6183, 0.7596, 1.4450)
H (-1.5907, -0.8025, 1.2245)
H (-1.8466, 6.7074, -1.6984)
H (4.5169, -5.8491, 0.8337)
H (-1.9712, 1.3208, -1.0666)
H (0.8824, 4.6925, -1.8997)
H (2.1700, -1.2576, -0.0658)
H (-4.3819, 1.5959, -1.8820)
H (-3.2505, 5.0783, 0.1407)
H (-2.1207, 0.6974, 4.7018)
H (2.4307, 2.7951, -1.1171)
H (4.2460, -4.4298, 1.8105)
H (-1.5746, -0.4092, -1.0475)
H (-3.9586, 5.7835, -1.3199)
H (2.4299, -1.3228, 2.3059)
H (-4.1240, -0.5434, -3.4570)
H (-1.4524, 5.0967, -2.2509)
H (-0.2684, -3.4178, 3.2376)
H (0.4511, -4.6651, 2.2088)
H (-3.3351, 4.1446, -1.3575)
H (-3.4345, -1.2796, -2.0052)
H (-5.5832, 0.2801, -1.7532)
H (-0.1733, 1.6655, -2.7971)
H (1.7265, -4.6205, -1.6184)
H (3.9298, -4.8503, -1.1880)
H (0.6523, 2.4555, 1.9302)
H (2.8712, -5.3482, 1.1745)
H (4.2185, -2.0772, -1.8199)
H (4.8872, -3.6195, -0.3700)
H (-3.3927, 1.1936, 3.5617)
H (-1.1510, 5.1183, 0.6069)
H (1.3362, -4.4613, 0.0881)
H (1.4243, -3.8863, 3.4815)
H (-0.5218, -3.5715, -1.2905)
H (0.5681, -2.4858, -2.1304)
H (-3.1764, -0.3847, 1.9681)

Force components x, y, z for each atom (eV/Å):
0.067 0.081 0.072
-0.083 -0.222 -0.057
0.180 -0.244 -0.064
-0.072 0.030 -0.196
0.072 -0.260 -0.185
-0.384 0.497 -0.133
-0.126 -0.158 -0.138
-0.082 0.152 0.210
0.055 0.050 -0.088
-0.032 0.206 0.329
-0.005 -0.023 0.018
-0.001 -0.049 0.034
0.235 -0.427 0.406
-0.076 0.352 -0.080
-0.057 0.122 -0.215
-0.288 -0.512 -0.191
-0.075 -0.094 0.016
0.294 0.139 0.303
0.013 -0.428 -0.311
-0.170 -0.074 0.167
0.006 -0.184 -0.008
-0.078 -0.037 0.029
0.049 -0.305 -0.294
0.035 0.014 0.030
-0.043 0.024 0.043
-0.013 0.113 0.046
-0.170 0.252 0.167
0.276 -0.402 -0.062
0.362 0.144 0.073
-0.006 0.078 0.057
0.379 0.198 0.090
-0.023 0.032 -0.050
____________

    Delivering Successful Data Annotation Projects

    Data Annotation is an important part of Natural Language Processing (NLP) projects. To train a successful NLP model, it is necessary to extract data in an accurate and consistent way, combining different features such as Named-Entity Recognition (NER), Assertion Status Detection, Relation Extraction, and Text Classification.

    During this two-day training, you will develop key skills to carry out a complete annotation project using John Snow Labs’ high-productivity annotation tool: The Annotation Lab. You will also learn and practice how to develop effective Annotation Guidelines, best practices for leading a team of annotators to ensure accurate results, and how to track your project’s progress and the quality of your annotations.

    This live online training is organized in two five-hour sessions, including practical assignments. The instructors have led multiple large data annotation projects and will be available during the assignments to answer questions. The course ends with a certification exam – completing the hands-on exercises and passing the exam grants a certificate as a Certified Data Annotation Expert.

    Natural Language Processing for Business Leaders Training

    Like any other technology, Natural Language Processing (NLP) requires business, product, and design leaders to understand what it can and cannot do – so that they can understand what opportunities it holds for improving their customers’ experience and bottom line with a solid ROI.

    This five-hour live online workshop presents key concepts in NLP such as named entity recognition, document classification, transformers, pipelines, training, and annotation – but through the lens of real-world projects that got from concepts to production systems. The content is organized as a series of case studies, each starting with a business use case, diving into the solution architecture, explaining how NLP played part in the solution, and ends with best practices and lessons learned.

    The instructor is a seasoned technology executive and NLP expert who oversaw the construction & operations of dozens of AI & NLP systems, and will be available for questions during and after the workshop.

  • Virtual Trainings

    Spark NLP for Data Scientists Training & Certification

    Natural Language Processing (NLP) is a key component in many data science systems that must understand or reason about text. Common use cases include knowledge extraction, question answering, entity recognition, spell correction, sentiment analysis, and document classification.

    This two-day workshop will walk you through state-of-the-art natural language processing (NLP) using John Snow Labs’ open-source Spark NLP library. This is a hands-on workshop that will enable you to write, edit, and run live Python notebooks that cover the majority of the open-source library’s functionality.

    The workshop is organized in two three hour-long sessions, each followed by 30 minutes of self-guided coding, on Python notebooks relevant to each section. This is a live online workshop and the instructors will be available during the self-guided sessions to answer questions.

    The instructor is a seasoned technology executive and NLP expert who oversaw the construction & operations of dozens of AI & NLP systems, and will be available for questions during and after the workshop.

    Spark NLP for Healthcare Data Scientists Training & Certification

    Many critical facts required by healthcare AI applications – like patient risk prediction, cohort selection, automated clinical coding, and clinical decision support—are locked in unstructured free-text data. Recent advances in deep learning have raised the bar on achievable accuracy for tasks like named entity recognition, assertion status detection, entity resolution, deidentification, and others.

    Spark NLP for Healthcare provides production-grade, scalable, and trainable implementation of novel healthcare-specific natural language processing (NLP) algorithms and models. The product is licensed by John Snow Labs, the creator of Spark NLP, and provides data scientists with a library and pre-trained models for the most common medical NLP tasks. This is a hands-on workshop that will enable you to write, edit, and run Python notebooks that use the product’s functionality.